### File
-- begin --
The following is a DFT calculation (PBE-GGA) of KMnSb4 after structural relaxation.

Uncorrected formation energy: 0.274 eV/atom
Mass density: 5.325 g/cm3
M_tot: 0.8505 μB per atom
Fermi-level density of states: 3.9 states/eV/f.u.
DFT total energy: -4.1858 eV/atom

CIF file:
```
data_KMnSb4
_space_group_name_H-M_alt 'F -4 3 m'
_space_group_IT_number 216
_space_group_name_Hall 'F -4 2 3'
_cell_length_a 8.983
_cell_length_b 8.983
_cell_length_c 8.983
_cell_angle_alpha 90.00
_cell_angle_beta 90.00
_cell_angle_gamma 90.00
loop_
_atom_site_label
_atom_site_fract_x
_atom_site_fract_y
_atom_site_fract_z
K1 0.000 0.000 0.000
Mn1 0.250 0.250 0.750
Sb1 0.124 0.124 0.376
```

----------

ScTlTc2: optimized geometry, PBEsol.

Cell and atoms, written as POSCAR:
```
ScTlTc2
1.0
-0.6094 2.1969 1.9718
-2.9391 -2.2311 1.5775
3.8205 -2.6737 3.3366
Tc Sc Tl
2 1 1
Cartesian
-0.9451 -0.7055 2.3458
0.0505 0.0269 0.1322
1.1696 -2.0074 4.4446
1.2979 0.8381 3.6036
```

Values from the calculation:
- electronic total energy (eV per atom) = -7.81
- E_form (eV/f.u.) = 0.52
- ΔE to the lowest computed polymorph (kcal/mol of atoms) = 0.000
- size of the total moment (Bohr magnetons per cell) = 0.00

ScTl2Tc: optimized geometry, PBEsol.

Cell and atoms, written as POSCAR:
```
ScTl2Tc
1.0
4.3090 0.0000 0.0000
0.0000 4.3090 0.0000
-2.1545 -2.1545 4.1207
Sc Tl Tc
1 2 1
Cartesian
2.1545 2.1545 0.0000
2.1545 0.0000 2.0603
0.0000 2.1545 2.0603
0.0000 0.0000 0.0000
```

Values from the calculation:
- electronic total energy (eV per atom) = -5.64
- E_form (eV/f.u.) = 0.56
- ΔE to the lowest computed polymorph (kcal/mol of atoms) = 0.000
- size of the total moment (Bohr magnetons per cell) = 0.03

ScTl2Tc: optimized geometry, PBEsol.

Cell and atoms, written as POSCAR:
```
ScTl2Tc
1.0
-1.4366 1.5401 3.0580
-4.0627 0.6756 -2.2488
1.3213 -5.1518 0.9610
Tl Sc Tc
2 1 1
Cartesian
-0.7366 -2.0855 0.7043
-3.4414 -0.8507 1.0660
-0.7183 0.7700 1.5290
-2.0314 0.3378 -1.1244
```

Values from the calculation:
- electronic total energy (eV per atom) = -5.61
- E_form (eV/f.u.) = 0.68
- ΔE to the lowest computed polymorph (kcal/mol of atoms) = 0.709
- size of the total moment (Bohr magnetons per cell) = 0.00

ScTcW2: optimized geometry, PBEsol.

Cell and atoms, written as POSCAR:
```
ScTcW2
1.0
-1.2853 -0.8896 -2.7100
1.2143 -4.1730 0.7939
-3.9727 1.7739 3.1077
Tc Sc W
1 1 2
Cartesian
-0.6427 -0.4448 -1.3550
0.6071 -2.0865 0.3970
-2.1405 -2.9290 0.1709
-1.9033 -0.3596 1.0207
```

Values from the calculation:
- electronic total energy (eV per atom) = -11.43
- E_form (eV/f.u.) = -0.25
- ΔE to the lowest computed polymorph (kcal/mol of atoms) = 0.000
- size of the total moment (Bohr magnetons per cell) = 0.00

ScTcW: optimized geometry, PBEsol.

Cell and atoms, written as POSCAR:
```
ScTcW
1.0
3.1235 0.0000 0.0000
0.0000 3.1235 0.0000
-1.5617 -1.5617 5.0302
Sc Tc W
1 1 1
Cartesian
0.0000 0.0000 0.0345
1.5617 1.5617 1.8075
0.0000 0.0000 3.1883
```

Values from the calculation:
- electronic total energy (eV per atom) = -10.67
- E_form (eV/f.u.) = -0.32
- ΔE to the lowest computed polymorph (kcal/mol of atoms) = 0.000
- size of the total moment (Bohr magnetons per cell) = 0.00

ScTcW2: optimized geometry, PBEsol.

Cell and atoms, written as POSCAR:
```
ScTcW2
1.0
-0.3401 -0.5161 3.6853
1.3210 -3.4764 -0.3650
4.3204 1.5766 0.6195
W Tc Sc
2 1 1
Cartesian
0.6605 -1.7382 -0.1825
-0.1701 -0.2581 1.8427
2.1602 0.7883 0.3098
2.6506 -1.2080 1.9699
```

Values from the calculation:
- electronic total energy (eV per atom) = -11.08
- E_form (eV/f.u.) = 1.17
- ΔE to the lowest computed polymorph (kcal/mol of atoms) = 8.203
- size of the total moment (Bohr magnetons per cell) = 0.00
-- stop --
### Assignment
Next, echo every line further above that contains the word "KMnSb4".
### Reply
The following is a DFT calculation (PBE-GGA) of KMnSb4 after structural relaxation.